Whoa! Who’d a thunk it? Jackie Chan, the talented and imaginative, but basically harmless clown of martial arts cinema is actually becoming a controversial figure in Chinese politics. Check out this story about a conference on April 18 that’s generating some uproar.
As well as it should! For someone who had reaped the benefits of Hong Kong capitalism and democracy, his comments that Chinese people might not be able to handle freedom is distasteful. Perhaps he’d taken some lessons in political hypocrisy from the Hollywood far left the last time he was on this side of the Pacific…anyone remember Madonna on her Michael Moore kick, chiding Americans for being too materialistic? Sean Penn and Danny Glover palling around with dictator Hugo Chavez?
Now I’m curious as to what else will happen in a reportedly building backlash to his statements. In the meantime, I’m also wondering if he might be due a little bit of the benefit of the doubt, since we can’t be sure of the accuracy of the translation of his words or the context they might have come in. Jackie, after all, had also been very critical of the Chinese government’s crackdown on the pro-democracy protesters at Tiananmen Square in 1989. But, then again, as his critics point out, there have been a number of extremely callous statements he had also made about the critics of China’s policies. Of those who protested the 2008 Olympics, he said they were “only” trying to cause trouble to get themselves on TV. To imply that the critics of China’s invasion of and policies in Tibet are somehow akin to crazy reality TV show wannabes acting outrageously to get attention is ridiculous. The fact that an angry crowd turned out to jeer him on a recent trip to Taiwan doesn’t surprise me.
All in all, his critics have called him one of the most visible apologists for the Chinese government’s anti-democratic policies. Perhaps his behavior might be motivated by the fact that his massive personal fortune and business interests are still invested in Hong Kong and mainland China. But, nonetheless, his behavior is disturbing and his critics are more than entitled to their outrage.
Jackie, say it ain’t so!!!!
As well as it should! For someone who had reaped the benefits of Hong Kong capitalism and democracy, his comments that Chinese people might not be able to handle freedom is distasteful. Perhaps he’d taken some lessons in political hypocrisy from the Hollywood far left the last time he was on this side of the Pacific…anyone remember Madonna on her Michael Moore kick, chiding Americans for being too materialistic? Sean Penn and Danny Glover palling around with dictator Hugo Chavez?
## The article is interrupted by records of crystals
Entry 1:
# PBE MnAlPt5, relaxed
# Fermi-level density of states = 0.739 states/eV per atom
# Energy of formation = -0.3387 eV/atom
# Energy above the lowest structure with this stoichiometry = 0.139 eV per atom
data_MnAlPt5
_chemical_formula_sum 'Mn4 Al4 Pt20'
_cell_length_a 8.828
_cell_length_b 8.801
_cell_length_c 6.674
_cell_angle_alpha 90.00
_cell_angle_beta 119.21
_cell_angle_gamma 90.00
_symmetry_space_group_name_H-M 'C 1 2/c 1'
_symmetry_Int_Tables_number 15
loop_
_symmetry_equiv_pos_as_xyz
'x,y,z'
'-x,-y,-z'
'-x,y,-z+1/2'
'x,-y,z+1/2'
'x+1/2,y+1/2,z'
'-x+1/2,-y+1/2,-z'
'-x+1/2,y+1/2,-z+1/2'
'x+1/2,-y+1/2,z+1/2'
loop_
_atom_site_label
_atom_site_fract_x
_atom_site_fract_y
_atom_site_fract_z
_atom_site_occupancy
Mn1 0.250 0.250 0.000 1
Al1 0.000 0.203 0.250 1
Pt1 0.000 0.072 0.750 1
Pt2 0.052 0.360 0.584 1
Pt3 0.246 0.407 0.364 1

***

Entry 2:
# PBE Zn2CoBr, relaxed
# Formation energy without anion corrections = 448 meV/atom
# Fermi-level density of states = 1.154 states/eV per atom
# Energy above the lowest structure with this stoichiometry = 0.351 eV per atom
data_Zn2CoBr
_chemical_formula_sum 'Zn2 Co1 Br1'
_cell_length_a 3.122
_cell_length_b 4.032
_cell_length_c 5.670
_cell_angle_alpha 90.00
_cell_angle_beta 90.00
_cell_angle_gamma 90.00
_symmetry_space_group_name_H-M 'P m m m'
_symmetry_Int_Tables_number 47
loop_
_symmetry_equiv_pos_as_xyz
'x,y,z'
'-x,-y,-z'
'-x,-y,z'
'x,y,-z'
'x,-y,-z'
'-x,y,z'
'-x,y,-z'
'x,-y,z'
loop_
_atom_site_label
_atom_site_fract_x
_atom_site_fract_y
_atom_site_fract_z
_atom_site_occupancy
Zn1 0.000 0.000 0.000 1
Zn2 0.500 0.500 0.000 1
Co1 0.000 0.500 0.500 1
Br1 0.500 0.000 0.500 1

***

Entry 3:
# PBE Na2TlCd2, relaxed
# Fermi-level density of states = 0.607 states/eV per atom
# Energy of formation = 0.0552 eV/atom
# Energy above the lowest structure with this stoichiometry = 0.151 eV per atom
data_Na2TlCd2
_chemical_formula_sum 'Na4 Tl2 Cd4'
_cell_length_a 4.465
_cell_length_b 4.465
_cell_length_c 14.877
_cell_angle_alpha 90.00
_cell_angle_beta 90.00
_cell_angle_gamma 90.00
_symmetry_space_group_name_H-M 'I 4/m m m'
_symmetry_Int_Tables_number 139
_symmetry_space_group_name_Hall '-I 4 2'
loop_
_atom_site_label
_atom_site_fract_x
_atom_site_fract_y
_atom_site_fract_z
_atom_site_occupancy
Na1 0.000 0.500 0.250 1
Tl1 0.000 0.000 0.000 1
Cd1 0.000 0.000 0.404 1

***

Entry 4:
# PBE LiTcIr2, relaxed
# Fermi-level density of states = 0.911 states/eV per atom
# Energy of formation = -0.0979 eV/atom
# Energy above the lowest structure with this stoichiometry = 0.016 eV per atom
data_LiTcIr2
_chemical_formula_sum 'Li1 Tc1 Ir2'
_cell_length_a 2.737
_cell_length_b 3.723
_cell_length_c 5.406
_cell_angle_alpha 90.00
_cell_angle_beta 90.00
_cell_angle_gamma 90.00
_symmetry_space_group_name_H-M 'P m m m'
_symmetry_Int_Tables_number 47
loop_
_symmetry_equiv_pos_as_xyz
'x,y,z'
'-x,-y,-z'
'-x,-y,z'
'x,y,-z'
'x,-y,-z'
'-x,y,z'
'-x,y,-z'
'x,-y,z'
loop_
_atom_site_label
_atom_site_fract_x
_atom_site_fract_y
_atom_site_fract_z
## End of the records of crystals
Now I’m curious as to what else will happen in a reportedly building backlash to his statements. In the meantime, I’m also wondering if he might be due a little bit of the benefit of the doubt, since we can’t be sure of the accuracy of the translation of his words or the context they might have come in. Jackie, after all, had also been very critical of the Chinese government’s crackdown on the pro-democracy protesters at Tiananmen Square in 1989. But, then again, as his critics point out, there have been a number of extremely callous statements he had also made about the critics of China’s policies. Of those who protested the 2008 Olympics, he said they were “only” trying to cause trouble to get themselves on TV. To imply that the critics of China’s invasion of and policies in Tibet are somehow akin to crazy reality TV show wannabes acting outrageously to get attention is ridiculous. The fact that an angry crowd turned out to jeer him on a recent trip to Taiwan doesn’t surprise me.
All in all, his critics have called him one of the most visible apologists for the Chinese government’s anti-democratic policies. Perhaps his behavior might be motivated by the fact that his massive personal fortune and business interests are still invested in Hong Kong and mainland China. But, nonetheless, his behavior is disturbing and his critics are more than entitled to their outrage.
Jackie, say it ain’t so!!!!